-- Work order --
Now start at the top of the block underneath and quote each line, ending with the one that has "CC(C)O.CC(C)O.CC(C)O.CC(C)O.CC(C)O.CC(C)".

-- Entries --
____________
# 1
{
  "formula": "C27H72O9",
  "method": "ωB97M-V with the def2-TZVPD basis set",
  "energy_ha": -1749.0033,
  "smiles": "CC(C)O.CC(C)O.CC(C)O.CC(C)O.CC(C)O.CC(C)O.CC(C)O.CC(C)O.CC(C)O",
  "multiplicity": 1,
  "orbital_gap_ev": 10.1,
  "total_charge": 0,
  "de_lowest_kcal_mol": 53.25,
  "elements": ["C", "C", "C", "O", "H", "H", "H", "H", "H", "H", "H", "H", "C", "C", "C", "O", "H", "H", "H", "H", "H", "H", "H", "H", "C", "C", "C", "O", "H", "H", "H", "H", "H", "H", "H", "H", "C", "C", "C", "O", "H", "H", "H", "H", "H", "H", "H", "H", "C", "C", "C", "O", "H", "H", "H", "H", "H", "H", "H", "H", "C", "C", "C", "O", "H", "H", "H", "H", "H", "H", "H", "H", "C", "C", "C", "O", "H", "H", "H", "H", "H", "H", "H", "H", "C", "C", "C", "O", "H", "H", "H", "H", "H", "H", "H", "H", "C", "C", "C", "O", "H", "H", "H", "H", "H", "H", "H", "H"],
____________

-- Completed --
# 1
{
  "formula": "C27H72O9",
  "method": "ωB97M-V with the def2-TZVPD basis set",
  "energy_ha": -1749.0033,
  "smiles": "CC(C)O.CC(C)O.CC(C)O.CC(C)O.CC(C)O.CC(C)O.CC(C)O.CC(C)O.CC(C)O",